
Get values for base Akamai items that many of our subproviders use.


Pass the query empty to get all of your groups or both a group name and contract ID in the data block to get high level details about a given group.

// Get all
data "akamai_groups" "my_groups" {

output "my_groups" {
  value = data.akamai_groups.my_groups

// Get one
data "akamai_group" "my_group_id" {
    group_name  = "My group name"
    contract_id = "ctr_C-0N7RAC7"

output "my_group_id" {
    value = data.akamai_group.my_group_id
// Get all
+ my_groups = {
    + groups = [
        + {
            + contract_ids    = [
               + "ctr_C-0N7RAC7",
            + group_id        = "grp_12345"
            + group_name      = "My group name"
            + parent_group_id = "grp_09876"
        + {
            + contract_ids    = [
                + "ctr_C-0N7RAC7",
            + group_id        = "grp_54321"
            + group_name      = "My group name 2"
            + parent_group_id = "grp_12345"
    + id     = "example7ec3a80992d3cbad0afd253cbc8951"

// Get one
+ my_group_id = {
    + contract_id = "ctr_C-0N7RAC7"
    + group_name  = "My group name"
    + id          = "grp_12345"
variable "group_id" {
  type        = string
  description = "My group ID"
  default     = "12345"
// local
group_id =

// tvars
group_id = var.group_id


Pass the query empty to get all of your contracts or a group's name or ID in the data block to get high level details about a given group's contract.

// Get all
data "akamai_contracts" "my_contracts" {

output "my_contracts" {
  value = data.akamai_contracts.my_contracts

// Get one
data "akamai_contract" "my_contract" {
     group_name = "my group name"

output "my_contract" {
    value = data.akamai_contract.my_contract
// Get all
+ my_contracts = {
    + contracts = [
        + {
            + contract_id        = "ctr_C-0N7RAC7"
            + contract_type_name = "DIRECT_CUSTOMER"
        + {
            + contract_id        = "ctr_C-20N7RAC7"
            + contract_type_name = "INDIRECT_CUSTOMER"
        + {
            + contract_id        = "ctr_C-30N7RAC7"
            + contract_type_name = "INDIRECT_CUSTOMER"
    + id        = "act_A-CCT1234"

// Get one
+ my_contract = {
    + group_id   = "grp_12345"
    + group_name = "my group name"
    + id         = "ctr_C-0N7RAC7"
variable "contract_id" {
  type        = string
  description = "My contract ID"
  default     = "C-0N7RAC7"
// local
contract_id =

// tvars
contract_id = var.contract_id

Product IDs

Product Code
Web Performance Solutions
Dynamic Site Accelerator prd_Site_Accel
Ion Standard prd_Fresca
Ion Premier prd_SPM
Dynamic Site Delivery prd_Dynamic_Site_Del
Rich Media Accelerator prd_Rich_Media_Accel
IoT Edge Connect prd_IoT
Security Solutions
Kona Site Defender prd_Site_Defender
Media Delivery Solutions
Download Delivery prd_Download_Delivery
Object Delivery prd_Object_Delivery
Adaptive Media Delivery prd_Adaptive_Media_Delivery

Note that if you have previously used the Property Manager API or CLI set-prefixes toggle option, you might have to remove the prd_ prefix.

┌──
1.
C27H49FeN6O as an isolated structure. Source: OMol25; level of theory: the ωB97M-V functional and the def2-TZVPD basis.

```
! wB97M-V def2-TZVPD RIJCOSX def2/J DEFGRID3
* xyz 1 7
Fe 3.297 -16.999 -16.426
C 0.248 -19.518 -17.212
C 1.601 -19.849 -16.640
C 2.542 -20.805 -17.417
O 2.246 -18.705 -16.238
H -0.302 -18.745 -16.675
H -0.264 -20.476 -17.306
H 0.392 -19.224 -18.252
H 1.358 -20.384 -15.722
H 2.121 -21.774 -17.684
H 3.462 -21.117 -16.922
H 2.918 -20.304 -18.309
C 1.763 -27.153 -17.038
C 0.413 -26.301 -16.945
C 0.637 -24.792 -17.439
C 1.220 -24.507 -18.810
N 1.587 -24.124 -19.843
H 2.125 -27.146 -18.066
H 1.578 -28.111 -16.553
H 2.388 -26.626 -16.317
H 0.102 -26.391 -15.904
H -0.418 -26.863 -17.372
H 1.240 -24.185 -16.765
H -0.354 -24.355 -17.559
C -0.358 -12.867 -18.983
C -1.247 -13.600 -18.043
C -0.980 -15.157 -17.995
C 0.423 -15.640 -17.560
N 1.451 -16.104 -17.214
H 0.687 -13.118 -18.805
H -0.428 -11.786 -18.861
H -0.602 -13.234 -19.980
H -2.317 -13.395 -18.064
H -1.036 -13.283 -17.021
H -1.319 -15.505 -18.970
H -1.823 -15.571 -17.441
C 4.966 -24.301 -16.396
C 5.851 -24.034 -15.225
C 7.164 -23.290 -15.589
C 7.993 -23.842 -16.716
N 8.620 -24.329 -17.609
H 4.670 -23.410 -16.950
H 4.102 -24.898 -16.106
H 5.490 -24.891 -17.148
H 6.077 -24.991 -14.757
H 5.364 -23.574 -14.365
H 7.956 -23.279 -14.840
H 6.910 -22.234 -15.678
C -4.279 -22.920 -13.911
C -4.166 -21.506 -14.459
C -2.717 -21.079 -14.492
C -1.748 -21.917 -15.210
N -0.972 -22.647 -15.693
H -5.326 -23.218 -13.959
H -4.146 -22.890 -12.830
H -3.551 -23.598 -14.357
H -4.788 -20.790 -13.921
H -4.595 -21.604 -15.456
H -2.321 -20.914 -13.489
H -2.702 -20.187 -15.119
C -1.506 -22.155 -19.607
C -1.986 -20.942 -20.449
C -2.197 -19.554 -19.857
C -2.860 -19.281 -18.539
N -3.361 -19.075 -17.556
H -1.893 -23.038 -20.116
H -1.881 -22.236 -18.587
H -0.422 -22.271 -19.613
H -2.973 -21.146 -20.865
H -1.350 -20.866 -21.331
H -2.643 -18.872 -20.581
H -1.174 -19.182 -19.804
C 9.585 -22.275 -20.080
C 8.590 -21.373 -19.283
C 7.118 -21.725 -19.645
C 6.274 -20.853 -18.803
N 5.629 -20.137 -18.185
H 9.810 -22.055 -21.124
H 9.173 -23.259 -20.304
H 10.452 -22.496 -19.458
H 8.738 -20.300 -19.408
H 8.594 -21.535 -18.206
H 6.847 -22.771 -19.500
H 6.863 -21.411 -20.657
*
```

E_HOMO (alpha / beta), eV: -10.4948 / -13.0132
Kohn-Sham gap (alpha / beta), eV: 7.8476 / 6.9713
⟨S²⟩: 12.012

2.
A 3-piece molecular cluster, C27H49IN2O4 overall. Source: OMol25; level of theory: the ωB97M-V functional and the def2-TZVPD basis.

```
! wB97M-V def2-TZVPD RIJCOSX def2/J DEFGRID3
* xyz 0 1
C -5.395 2.268 -1.909
O -4.227 1.401 -1.573
C -3.134 1.801 -2.494
C -3.035 0.662 -3.715
C -2.268 -0.635 -3.032
C -0.645 -0.659 -3.263
C 0.251 -0.209 -1.966
C -0.197 -0.890 -0.545
C 1.035 -1.417 0.398
C 2.164 -0.244 0.747
C 2.914 -0.613 2.190
C 1.934 -0.371 3.502
C 1.784 -1.724 4.452
C 0.770 -1.481 5.760
I 0.988 0.434 6.845
O -0.604 -1.619 5.233
C -0.531 -2.470 4.032
O -1.637 -2.700 3.272
C 1.005 -3.038 3.857
C 1.358 -4.537 4.508
└──

Domain suffixes

Edge Hostname TypeDomain Suffix

Secure hostnames

To view Enhanced TLS hostnames, you need at least Secure Site Delivery CNAMEs - View only access. Use the roles data source to determine your access level.

  1. Get a list of your properties and use a property's ID in the hostnames data source.

    data "akamai_properties" "my_properties" {
        group_id    = "12345"
        contract_id = "C-0N7RAC7"
    output "my_properties" {
      value = data.akamai_properties.my_properties
    + my_properties = {
          + contract_id = "C-0N7RAC7"
          + group_id    = "12345"
          + id          = "grp_12345ctr_C-0N7RAC7"
          + properties  = [
              + {
                  + contract_id        = "ctr_C-0N7RAC7"
                  + group_id           = "grp_12345"
                  + latest_version     = 8
                  + note               = "Added hostname."
                  + product_id         = "prd_Adaptive_Media_Delivery"
                  + production_version = 8
                  + property_id        = "prp_12345"
                  + property_name      = "my_property1"
                  + rule_format        = ""
                  + staging_version    = 3
                + {
                  + contract_id        = "ctr_C-0N7RAC7"
                  + group_id           = "grp_12345"
                  + latest_version     = 3
                  + note               = "File type update."
                  + product_id         = "prd_Object_Delivery"
                  + production_version = 3
                  + property_id        = "prp_98765"
                  + property_name      = "my_property2"
                  + rule_format        = ""
                  + staging_version    = 2
  2. Pass your group, contract, and property IDs to get a list of your hostnames and certificate statuses.

    data "akamai_property_hostnames" "my_property_hostnames" {
        group_id    = "12345"
        contract_id = "C-0N7RAC7"
        property_id = "12345"
    + my_property_hostnames = {
          + contract_id = "C-0N7RAC7"
          + group_id    = "12345"
          + hostnames   = [
              + {
                  + cert_provisioning_type = "DEFAULT"
                  + cert_status            = [
                      + {
                          + hostname          = ""
                          + production_status = "ACTIVE"
                          + staging_status    = "ACTIVE"
                          + target            = ""
                  + cname_from             = ""
                  + cname_to               = ""
                  + cname_type             = "EDGE_HOSTNAME"
                  + edge_hostname_id       = "ehn_1234567"
          + id          = "prp_1234567"
          + property_id = "prp_123456"
          + version     = 3